(Contents)
(1)
The following is a PBE calculation of a relaxed Mg2Sb crystal, from the Materials Project.

Summary:
Electronic total energy ... -2.528 eV per atom
MP2020-corrected energy ... -2.592 eV per atom

a b c (Å): 9.213 5.784 5.434
angles (deg): 90.00 90.00 90.00
Space group Cmcm (No. 63)
One atom of each set of equivalent atoms:
Mg  0.162  0.186  0.250
Sb  0.000  0.295  0.750

(2)
The following is a PBE calculation of a relaxed Mg2Sb crystal, from the Materials Project.

Summary:
Electronic total energy ... -2.641 eV per atom
MP2020-corrected energy ... -2.705 eV per atom

a b c (Å): 4.035 5.963 12.397
angles (deg): 90.00 90.00 90.00
Space group Immm (No. 71)
One atom of each set of equivalent atoms:
Mg  0.000  0.000  0.175
Mg  0.000  0.248  0.500
Sb  0.000  0.500  0.149

(3)
The following is a PBE calculation of a relaxed MgSb crystal, from the Materials Project.

Summary:
Electronic total energy ... -3.052 eV per atom
MP2020-corrected energy ... -3.148 eV per atom

a b c (Å): 3.8391 3.8391 12.0549
angles (deg): 90.00 90.00 120.00
Space group R-3m (No. 166, hexagonal axes)
One atom of each set of equivalent atoms:
Mg  0.0000  0.0000  0.0000
Sb  0.0000  0.0000  0.5000

(4)
The following is a PBE calculation of a relaxed MgSb crystal, from the Materials Project.

Summary:
Electronic total energy ... -2.999 eV per atom
MP2020-corrected energy ... -3.095 eV per atom

a b c (Å): 5.952 5.952 5.952
angles (deg): 90.00 90.00 90.00
Space group Fm-3m (No. 225)
One atom of each set of equivalent atoms:
Mg  0.000  0.000  0.000
Sb  0.000  0.000  0.500

Q: Which of these has the lowest MP2020-corrected energy?
A: number 3

Q: Which of these has the lowest electronic total energy?
A: number 3

Q: What is the electronic total energy in the second record?
A: -2.641 eV per atom


# 1
Computed, not measured: crystalline Ho2MgIn at its relaxed geometry at the r2SCAN level of DFT.

CIF file:
```
data_Ho2MgIn
_chemical_formula_sum 'Ho8 Mg4 In4'
_symmetry_space_group_name_H-M 'F m -3 m'
_symmetry_Int_Tables_number 225
_symmetry_space_group_name_Hall '-F 4 2 3'
_cell_length_a 7.447
_cell_length_b 7.447
_cell_length_c 7.447
_cell_angle_alpha 90.00
_cell_angle_beta 90.00
_cell_angle_gamma 90.00
loop_
_atom_site_label
_atom_site_fract_x
_atom_site_fract_y
_atom_site_fract_z
_atom_site_occupancy
Ho1 0.250 0.250 0.250 1
Mg1 0.000 0.000 0.000 1
In1 0.000 0.000 0.500 1
```

# 2
Computed, not measured: crystalline NdHoIn2 at its relaxed geometry at the r2SCAN level of DFT.

CIF file:
```
data_NdHoIn2
_chemical_formula_sum 'Nd4 Ho4 In8'
_symmetry_space_group_name_H-M 'F m -3 m'
_symmetry_Int_Tables_number 225
_symmetry_space_group_name_Hall '-F 4 2 3'
_cell_length_a 7.592
_cell_length_b 7.592
_cell_length_c 7.592
_cell_angle_alpha 90.00
_cell_angle_beta 90.00
_cell_angle_gamma 90.00
loop_
_atom_site_label
_atom_site_fract_x
_atom_site_fract_y
_atom_site_fract_z
_atom_site_occupancy
Nd1 0.000 0.000 0.000 1
Ho1 0.000 0.000 0.500 1
In1 0.250 0.250 0.250 1
```

# 3
Computed, not measured: crystalline Ho10In20Ni9 at its relaxed geometry at the r2SCAN level of DFT.

CIF file:
```
data_Ho10In20Ni9
_chemical_formula_sum 'Ho20 In40 Ni18'
_symmetry_space_group_name_H-M 'P 4/n m m'
_symmetry_Int_Tables_number 129
_cell_length_a 13.284
_cell_length_b 13.284
_cell_length_c 9.101
_cell_angle_alpha 90.00
_cell_angle_beta 90.00
_cell_angle_gamma 90.00
loop_
_symmetry_equiv_pos_as_xyz
'x,y,z'
'-x,-y,-z'
'-y+1/2,x,z'
'y+1/2,-x,-z'
'-x+1/2,-y+1/2,z'
'x+1/2,y+1/2,-z'
'y,-x+1/2,z'
'-y,x+1/2,-z'
'x+1/2,-y,-z'
'-x+1/2,y,z'
'-y,-x,-z'
'y,x,z'
'-x,y+1/2,-z'
'x,-y+1/2,z'
'y+1/2,x+1/2,-z'
'-y+1/2,-x+1/2,z'
loop_
_atom_site_label
_atom_site_fract_x
_atom_site_fract_y
_atom_site_fract_z
_atom_site_occupancy
Ho1 0.027 0.750 0.232 1
Ho2 0.047 0.047 0.268 1
Ho3 0.250 0.250 0.363 1
Ho4 0.250 0.250 0.835 1
In1 0.083 0.250 0.092 1
In2 0.095 0.595 0.000 1
In3 0.118 0.118 0.590 1
In4 0.120 0.620 0.500 1
In5 0.134 0.750 0.766 1
Ni1 0.026 0.250 0.410 1
Ni2 0.095 0.095 0.896 1

(Work order)
Now filter the lines further above: keep the lines with the word "energy".

(Here it is)
Electronic total energy ... -2.528 eV per atom
MP2020-corrected energy ... -2.592 eV per atom
Electronic total energy ... -2.641 eV per atom
MP2020-corrected energy ... -2.705 eV per atom
Electronic total energy ... -3.052 eV per atom
MP2020-corrected energy ... -3.148 eV per atom
Electronic total energy ... -2.999 eV per atom
MP2020-corrected energy ... -3.095 eV per atom
Q: Which of these has the lowest MP2020-corrected energy?
Q: Which of these has the lowest electronic total energy?
Q: What is the electronic total energy in the second record?